**Entries:**
- - -
Structure and calculated powder diffraction line list of Li4CdIn3 (a cell relaxed with GGA-PBE; Cu Kα (λ = 1.5418 Å)).
No peak broadening, texture or thermal motion is included.

Peak list (10 most intense, 2θ from 10° to 90°, low angle first)
| d/Å | two_theta | I (rel.) |
| --- | --- | --- |
| 3.898 | 22.8 | 100 |
| 2.387 | 37.7 | 97 |
| 2.039 | 44.4 | 17 |
| 2.034 | 44.6 | 33 |
| 1.686 | 54.4 | 11 |
| 1.549 | 59.7 | 20 |
| 1.380 | 67.9 | 11 |
| 1.377 | 68.1 | 22 |
| 1.298 | 72.9 | 11 |
| 1.140 | 85.1 | 10 |

Cell and atoms:
a = 4.768 Å, b = 4.768 Å, c = 6.767 Å
α = 90.00°, β = 90.00°, γ = 90.00°
Fractional positions:
Li1 0.000 0.000 0.000
Li2 0.000 0.500 0.746
Li3 0.500 0.000 0.254
Li4 0.500 0.500 0.500
Cd1 0.000 0.000 0.500
In1 0.000 0.500 0.256
In2 0.500 0.000 0.744
In3 0.500 0.500 0.000

* * * * *

Li5ZrPd6: theoretical XRD peak list (Cu Kα (weighted mean of Kα1 and Kα2)), based on a DFT-relaxed cell (PBE, Alexandria).
Lines closer than 0.1° are merged.

Crystal structure
a = 4.1735 Å, b = 6.7823 Å, c = 6.5327 Å
α = 90.00°, β = 108.73°, γ = 90.00°
Atoms (fractional coordinates):
Li: 0.0000 0.0000 0.0000
Li: 0.3233 0.5000 0.6478
Li: 0.3334 0.0000 0.6669
Li: 0.6666 0.0000 0.3331
Li: 0.6767 0.5000 0.3522
Zr: 0.0000 0.5000 0.0000
Pd: 0.1688 0.2434 0.3368
Pd: 0.1688 0.7566 0.3368
Pd: 0.5000 0.2401 0.0000
Pd: 0.5000 0.7599 0.0000
Pd: 0.8312 0.2434 0.6632
Pd: 0.8312 0.7566 0.6632

Most intense lines, 15° ≤ 2θ ≤ 90°, sorted by position:
2theta, I_rel
26.28, 39
30.47, 53
40.67, 100
43.36, 21
43.90, 20
51.41, 12
51.89, 12
54.09, 10
63.36, 19
78.49, 14


CrTcIrOs: theoretical XRD peak list (Cu Kα (weighted mean of Kα1 and Kα2)), based on a DFT-relaxed cell (PBE, Alexandria).
Lines closer than 0.1° are merged.

Crystal structure
a = 2.6941 Å, b = 4.1836 Å, c = 10.7930 Å
α = 90.00°, β = 90.00°, γ = 90.00°
Atoms (fractional coordinates):
Cr: 0.0000 0.0000 0.0000
Cr: 0.5000 0.5000 0.5000
Tc: 0.0000 0.5000 0.1447
Tc: 0.5000 0.0000 0.6447
Ir: 0.0000 0.0000 0.4266
Ir: 0.5000 0.5000 0.9266
Os: 0.0000 0.5000 0.7189
Os: 0.5000 0.0000 0.2189

Most intense lines, 15° ≤ 2θ ≤ 90°, sorted by position:
2theta, I_rel
22.80, 47
33.20, 23
41.89, 26
43.31, 100
47.39, 31
55.59, 11
61.79, 17
70.35, 11
79.39, 13
86.30, 13


Na6AgHg: theoretical XRD peak list (Cu Kα (weighted mean of Kα1 and Kα2)), based on a DFT-relaxed cell (PBE, Alexandria).
Lines closer than 0.1° are merged.

Crystal structure
a = 6.0681 Å, b = 6.0682 Å, c = 6.1193 Å
α = 90.11°, β = 90.10°, γ = 91.75°
Atoms (fractional coordinates):
Na: 0.0004 0.9998 0.2472
Na: 0.9996 0.0002 0.7528
Na: 0.2472 0.4997 0.5006
Na: 0.4979 0.7474 0.0005
Na: 0.5021 0.2526 0.9995
Na: 0.7528 0.5003 0.4994
Ag: 0.0000 0.5000 0.0000
Hg: 0.5000 0.0000 0.5000

Most intense lines, 15° ≤ 2θ ≤ 90°, sorted by position:
2theta, I_rel
20.39, 26
20.62, 100
21.03, 24
29.19, 21
29.45, 40
35.85, 72
36.25, 23
36.60, 45
46.98, 18
56.18, 19


SrPr2AuO5: theoretical XRD peak list (Cu Kα (weighted mean of Kα1 and Kα2)), based on a DFT-relaxed cell (PBE, Alexandria).
Lines closer than 0.1° are merged.

Crystal structure
a = 6.8246 Å, b = 6.8246 Å, c = 6.1759 Å
α = 90.00°, β = 90.00°, γ = 90.00°
Atoms (fractional coordinates):
Sr: 0.0000 0.0000 0.0000
Sr: 0.5000 0.5000 0.0000
Pr: 0.1716 0.3284 0.5000
Pr: 0.3284 0.8284 0.5000
Pr: 0.6716 0.1716 0.5000
Pr: 0.8284 0.6716 0.5000
Au: 0.0000 0.5000 0.0000
Au: 0.5000 0.0000 0.0000
O: 0.0000 0.0000 0.5000
O: 0.1491 0.6491 0.2540
O: 0.1491 0.6491 0.7460
O: 0.3509 0.1491 0.2540
O: 0.3509 0.1491 0.7460
O: 0.5000 0.5000 0.5000
O: 0.6491 0.8509 0.2540
O: 0.6491 0.8509 0.7460
O: 0.8509 0.3509 0.2540
O: 0.8509 0.3509 0.7460

Most intense lines, 15° ≤ 2θ ≤ 90°, sorted by position:
2theta, I_rel
18.39, 28
28.91, 40
29.92, 100
32.73, 37
37.27, 24
41.60, 30
44.47, 25
47.84, 22
51.87, 22
55.91, 14


LaU2PdS5: theoretical XRD peak list (Cu Kα (weighted mean of Kα1 and Kα2)), based on a DFT-relaxed cell (PBE, Alexandria).
Lines closer than 0.1° are merged.

Crystal structure
- - -

**Assignment:**
The reader should search the block earlier on for the word "calculated" and restate each line that has it.

**Outcome:**
Structure and calculated powder diffraction line list of Li4CdIn3 (a cell relaxed with GGA-PBE; Cu Kα (λ = 1.5418 Å)).